**To do:**
The reader should reproduce everything below unchanged.

**Contents:**
____________
# TaV2O5

A geometry-optimized TaV2O5 structure (PBE+U, Alexandria via LeMat-Bulk).

Summary:
DOS(E_F)	0.39	states/eV/cell
spin magnetization	20.00	Bohr magnetons per cell
calculated volume	11.202	Å³/atom
total energy	-8.618	eV per atom

a b c (Å): 6.4048 6.1459 9.1067
angles (deg): 90.00 90.00 90.00
With the nearest neighbours (Å) after each atom.
Sites, in units of the cell vectors:
1 Ta 0.4230 0.2500 0.4968  6 O 1.96-2.11
2 Ta 0.5770 0.7500 0.5032  6 O 1.96-2.11
3 Ta 0.9230 0.7500 0.0032  6 O 1.96-2.11
4 Ta 0.0770 0.2500 0.9968  6 O 1.96-2.11
5 V 0.5472 0.4803 0.8398  5 O 2.01-2.24
6 V 0.4528 0.5197 0.1602  5 O 2.01-2.24
7 V 0.0472 0.5197 0.6602  5 O 2.01-2.24
8 V 0.4528 0.9803 0.1602  5 O 2.01-2.24
9 V 0.9528 0.4803 0.3398  5 O 2.01-2.24
10 V 0.5472 0.0197 0.8398  5 O 2.01-2.24
11 V 0.9528 0.0197 0.3398  5 O 2.01-2.24
12 V 0.0472 0.9803 0.6602  5 O 2.01-2.24
13 O 0.0688 0.2500 0.4948  4 V 2.13-2.24, 1 Ta 2.27
14 O 0.9312 0.7500 0.5052  4 V 2.13-2.24, 1 Ta 2.27
15 O 0.5688 0.7500 0.0052  4 V 2.13-2.24, 1 Ta 2.27
16 O 0.4312 0.2500 0.9948  4 V 2.13-2.24, 1 Ta 2.27
17 O 0.3391 0.9636 0.5722  2 Ta 1.96-2.11, 1 V 2.04
18 O 0.6609 0.0364 0.4278  2 Ta 1.96-2.11, 1 V 2.04
19 O 0.8391 0.0364 0.9278  2 Ta 1.96-2.11, 1 V 2.04
20 O 0.6609 0.4636 0.4278  2 Ta 1.96-2.11, 1 V 2.04
21 O 0.1609 0.9636 0.0722  2 Ta 1.96-2.11, 1 V 2.04
22 O 0.3391 0.5364 0.5722  2 Ta 1.96-2.11, 1 V 2.04
23 O 0.1609 0.5364 0.0722  2 Ta 1.96-2.11, 1 V 2.04
24 O 0.8391 0.4636 0.9278  2 Ta 1.96-2.11, 1 V 2.04
25 O 0.1401 0.2500 0.7848  1 Ta 1.97, 2 V 2.09
26 O 0.8599 0.7500 0.2152  1 Ta 1.97, 2 V 2.09
27 O 0.6401 0.7500 0.7152  1 Ta 1.97, 2 V 2.09
28 O 0.3599 0.2500 0.2848  1 Ta 1.97, 2 V 2.09
29 O 0.6044 0.2500 0.6889  2 V 2.01, 1 Ta 2.10
30 O 0.3956 0.7500 0.3111  2 V 2.01, 1 Ta 2.10
31 O 0.1044 0.7500 0.8111  2 V 2.01, 1 Ta 2.10
32 O 0.8956 0.2500 0.1889  2 V 2.01, 1 Ta 2.10
____________

**Reply:**
# TaV2O5

A geometry-optimized TaV2O5 structure (PBE+U, Alexandria via LeMat-Bulk).

Summary:
DOS(E_F)	0.39	states/eV/cell
spin magnetization	20.00	Bohr magnetons per cell
calculated volume	11.202	Å³/atom
total energy	-8.618	eV per atom

a b c (Å): 6.4048 6.1459 9.1067
angles (deg): 90.00 90.00 90.00
With the nearest neighbours (Å) after each atom.
Sites, in units of the cell vectors:
1 Ta 0.4230 0.2500 0.4968  6 O 1.96-2.11
2 Ta 0.5770 0.7500 0.5032  6 O 1.96-2.11
3 Ta 0.9230 0.7500 0.0032  6 O 1.96-2.11
4 Ta 0.0770 0.2500 0.9968  6 O 1.96-2.11
5 V 0.5472 0.4803 0.8398  5 O 2.01-2.24
6 V 0.4528 0.5197 0.1602  5 O 2.01-2.24
7 V 0.0472 0.5197 0.6602  5 O 2.01-2.24
8 V 0.4528 0.9803 0.1602  5 O 2.01-2.24
9 V 0.9528 0.4803 0.3398  5 O 2.01-2.24
10 V 0.5472 0.0197 0.8398  5 O 2.01-2.24
11 V 0.9528 0.0197 0.3398  5 O 2.01-2.24
12 V 0.0472 0.9803 0.6602  5 O 2.01-2.24
13 O 0.0688 0.2500 0.4948  4 V 2.13-2.24, 1 Ta 2.27
14 O 0.9312 0.7500 0.5052  4 V 2.13-2.24, 1 Ta 2.27
15 O 0.5688 0.7500 0.0052  4 V 2.13-2.24, 1 Ta 2.27
16 O 0.4312 0.2500 0.9948  4 V 2.13-2.24, 1 Ta 2.27
17 O 0.3391 0.9636 0.5722  2 Ta 1.96-2.11, 1 V 2.04
18 O 0.6609 0.0364 0.4278  2 Ta 1.96-2.11, 1 V 2.04
19 O 0.8391 0.0364 0.9278  2 Ta 1.96-2.11, 1 V 2.04
20 O 0.6609 0.4636 0.4278  2 Ta 1.96-2.11, 1 V 2.04
21 O 0.1609 0.9636 0.0722  2 Ta 1.96-2.11, 1 V 2.04
22 O 0.3391 0.5364 0.5722  2 Ta 1.96-2.11, 1 V 2.04
23 O 0.1609 0.5364 0.0722  2 Ta 1.96-2.11, 1 V 2.04
24 O 0.8391 0.4636 0.9278  2 Ta 1.96-2.11, 1 V 2.04
25 O 0.1401 0.2500 0.7848  1 Ta 1.97, 2 V 2.09
26 O 0.8599 0.7500 0.2152  1 Ta 1.97, 2 V 2.09
27 O 0.6401 0.7500 0.7152  1 Ta 1.97, 2 V 2.09
28 O 0.3599 0.2500 0.2848  1 Ta 1.97, 2 V 2.09
29 O 0.6044 0.2500 0.6889  2 V 2.01, 1 Ta 2.10
30 O 0.3956 0.7500 0.3111  2 V 2.01, 1 Ta 2.10
31 O 0.1044 0.7500 0.8111  2 V 2.01, 1 Ta 2.10
32 O 0.8956 0.2500 0.1889  2 V 2.01, 1 Ta 2.10